Assurance of quality of machined components
Innovations in assurance of quality
1. Automated control of data acquisition plan and data analysis at the point of data entry
2. Adaptive modeling of in-process and offline data providing low risk of quality acceptance errors
3. Multi-parameter quality estimation using distributional statistics and non-distributional one-sided probability functions
4. Metrological diagnostic of quality assurance system
5. Interactive connections with process optimization and predictive tool control
MICRONITE puts data quality at the core of every step of process and cost management
Key Features
• Low-risk automated decisions to accept product quality at the point of production
• Highly reliable certification of production lot in terms of compliance with specification
• Consolidation of Fist Article, in-process, and final inspection
• Special close-tolerance metrology analytics
• Validation and certification of all elements of measurement system
• Generation of sufficient sample size for in-process and offline quality acceptance
• System-guided optimization and reduction of sampling inspection
• Traceability of inspection records and quality data mining
Higher quality at a lower cost
Someone pasted calculated crystals at this point:
'''
[1]
! SrBN2 | Alexandria | meta-GGA SCAN | PBEsol geometry; values from VASP
! space-group type	I4_1/amd
! raw formation energy	-0.62	eV/atom
! magnetic moment	0.000	μB/cell
&SYSTEM
  ibrav = 0, nat = 8, ntyp = 3
/
ATOMIC_SPECIES
Sr 87.62 Sr.upf
B 10.81 B.upf
N 14.01 N.upf
CELL_PARAMETERS angstrom
-2.2615 2.2615 4.1945
2.2615 -2.2615 4.1945
2.2615 2.2615 -4.1945
ATOMIC_POSITIONS angstrom
Sr 2.2615 1.1308 1.0486
Sr 0.0000 1.1308 3.1459
B 2.2615 -1.1308 3.1459
B 0.0000 3.3923 1.0486
N 0.0000 0.0000 0.0000
N 1.1308 1.1308 -2.0972
N 1.1308 -1.1308 2.0972
N 0.0000 2.2615 0.0000

***

[2]
! SrBN2 | Alexandria | meta-GGA SCAN | PBEsol geometry; values from VASP
! space-group type	R-3m
! raw formation energy	1.37	eV/atom
! magnetic moment	1.750	μB/cell
&SYSTEM
  ibrav = 0, nat = 4, ntyp = 3
/
ATOMIC_SPECIES
Sr 87.62 Sr.upf
B 10.81 B.upf
N 14.01 N.upf
CELL_PARAMETERS angstrom
1.4366 0.8294 6.2278
-1.4366 0.8294 6.2278
0.0000 -1.6588 6.2278
ATOMIC_POSITIONS angstrom
Sr 0.0000 0.0000 0.0000
B 0.0000 0.0000 9.3417
N 0.0000 0.0000 2.3447
N 0.0000 0.0000 16.3387

***

[3]
! SrBTeN2 | Alexandria | meta-GGA SCAN | PBEsol geometry; values from VASP
! space-group type	P4/mmm
! raw formation energy	2.09	eV/atom
! magnetic moment	4.199	μB/cell
&SYSTEM
  ibrav = 0, nat = 5, ntyp = 4
/
ATOMIC_SPECIES
Sr 87.62 Sr.upf
B 10.81 B.upf
Te 127.60 Te.upf
N 14.01 N.upf
CELL_PARAMETERS angstrom
4.6456 0.0000 0.0000
0.0000 4.6456 0.0000
0.0000 0.0000 6.5315
ATOMIC_POSITIONS angstrom
Sr 0.0000 0.0000 0.0000
B 2.3228 2.3228 3.2657
Te 0.0000 0.0000 3.2657
N 0.0000 2.3228 0.0000
N 2.3228 0.0000 0.0000

***

[4]
! TaBN2 | Alexandria | meta-GGA SCAN | PBEsol geometry; values from VASP
! space-group type	R-3m
! raw formation energy	0.69	eV/atom
! magnetic moment	0.004	μB/cell
&SYSTEM
  ibrav = 0, nat = 4, ntyp = 3
/
ATOMIC_SPECIES
Ta 180.95 Ta.upf
B 10.81 B.upf
N 14.01 N.upf
CELL_PARAMETERS angstrom
1.3939 0.8047 5.6210
-1.3939 0.8047 5.6210
0.0000 -1.6095 5.6210
ATOMIC_POSITIONS angstrom
Ta 0.0000 0.0000 0.0000
B 0.0000 0.0000 8.4316
N 0.0000 0.0000 1.9832
N 0.0000 0.0000 14.8800


Below is a geometry-optimized NaLaYGa structure, with properties calculated at the GGA-PBE level.

extended XYZ file:
```
4
Lattice="-5.253 0.901 0.688 -3.564 -2.156 -3.396 -3.215 -3.978 1.648" Properties=species:S:1:pos:R:3 pbc="T T T"
Y -6.016 -2.617 -0.530
Na -3.008 -1.308 -0.265
Ga -9.024 -3.925 -0.795
La 0.000 0.000 0.000
```

Values from the calculation:
Calculated density, g/cm3: 4.85
Total magnetic moment, μB per formula unit: 0.00
SG: No. 216
Fermi-level density of states, states/eV/f.u.: 4.6
VASP energy, eV for the cell shown: -16.361

Below is a geometry-optimized Ba5Mg4In structure, with properties calculated at the GGA-PBE level.

extended XYZ file:
```
10
Lattice="4.341 0.000 0.000 0.000 4.341 0.000 0.000 0.000 21.778" Properties=species:S:1:pos:R:3 pbc="T T T"
Ba 2.170 2.170 2.062
Ba 2.170 2.170 6.484
Ba 2.170 2.170 10.889
Ba 2.170 2.170 15.294
Ba 2.170 2.170 19.716
Mg 0.000 0.000 4.291
'''
The text goes on:
- Achieve sustained reduction of costs of quality and inspection
- Carry out zero-defect quality of close-tolerance machining and grinding with ease and comfort for operators
- Build strong metrology infrastructure and reduce uncertainty in product quality
- Eliminate non-productive time and labor
- Explore inspection data through MICRONITE’s analytic visualizations with the purpose of substantial reduction of inspection time
- Quickly create quality certification reports that are precise, complete, meaningful, and statistically sound.
- Save labor and time by automatic compilation of in-process data
- Use excellent software capabilities to discover and quantify systematic and random measurement errors.
- Achieve high-level confidence in data accuracy and precision.
With MICRONITE, producers and consumers are under equal protection
Certification of product quality is performed by MICRONITE’s Artificial Statistician. All in-process and offline data is filtered by operation, machine, inspection type, shift, date, etc. The TQA (Total Quality Acceptance) report guarantees extremely low risk of acceptance errors equally protecting producers and consumers against wrong decisions. Combination of conventional distributional estimates (CP, Cpk, PP, Ppk, AQL for inspection by variables) and predictive non-distributional quality measures play an important role in achievement of reliability of statistical analysis applied to diverse machining operations.